Anti-Competitive Agreements Types: Understanding the Basics

Anti-competitive agreements are arrangements between businesses that are designed to restrict competition within a particular market. These agreements, which may take many different forms, are often illegal under antitrust laws, which are intended to safeguard competition and promote consumer welfare. In this article, we will discuss the different types of anti-competitive agreements and their implications for businesses and consumers.

Price-Fixing Agreements

(Here the entry breaks off for materials data)
********
DFT (meta-GGA SCAN) results for a crystal of FePt2Rh relaxed with PBEsol.

Cell lengths 5.366, 7.651, 2.703 Å; angles 90.00, 90.00, 90.00 degrees
Space group Cmmm (No. 65)
One atom of each set of equivalent atoms:
Fe (0.000, 0.000, 0.000) [2 per cell]
Pt (0.250, 0.250, 0.500) [4 per cell]
Rh (0.000, 0.500, 0.000) [2 per cell]

Summary:
**Total DFT energy (no corrections)**: -48.363 eV/atom



DFT (meta-GGA SCAN) results for a crystal of Co3AgGe relaxed with PBEsol.

Cell lengths 4.524, 4.524, 4.524 Å; angles 90.00, 90.00, 90.00 degrees
Space group Pm-3m (No. 221)
One atom of each set of equivalent atoms:
Co (0.000, 0.000, 0.500) [3 per cell]
Ag (0.000, 0.000, 0.000) [1 per cell]
Ge (0.500, 0.500, 0.500) [1 per cell]

Summary:
**Total DFT energy (no corrections)**: -18.806 eV/atom



DFT (meta-GGA SCAN) results for a crystal of Tl4Si5O12 relaxed with PBEsol.

Cell lengths 9.254, 11.705, 12.993 Å; angles 90.00, 94.13, 90.00 degrees
Space group C2/c (No. 15)
One atom of each set of equivalent atoms:
Tl (0.099, 0.028, 0.375) [8 per cell]
Tl (0.168, 0.198, 0.631) [8 per cell]
Si (0.000, 0.493, 0.250) [4 per cell]
Si (0.053, 0.303, 0.081) [8 per cell]
Si (0.227, 0.388, 0.894) [8 per cell]
O (0.042, 0.416, 0.153) [8 per cell]
O (0.097, 0.234, 0.436) [8 per cell]
O (0.103, 0.346, 0.970) [8 per cell]
O (0.139, 0.427, 0.785) [8 per cell]
O (0.167, 0.013, 0.058) [8 per cell]
O (0.183, 0.225, 0.139) [8 per cell]

Summary:
**Formation energy without anion corrections**: -4920 kJ/mol of formula units



DFT (meta-GGA SCAN) results for a crystal of Sr4Al6CrO16 relaxed with PBEsol.

Cell lengths 9.397, 9.397, 9.564 Å; angles 90.00, 90.00, 90.00 degrees
Space group I-4m2 (No. 119)
One atom of each set of equivalent atoms:
Sr (0.243, 0.243, 0.000) [8 per cell]
Al (0.000, 0.000, 0.000) [2 per cell]
Al (0.000, 0.000, 0.500) [2 per cell]
Al (0.000, 0.248, 0.254) [8 per cell]
Cr (0.000, 0.500, 0.750) [2 per cell]
O (0.000, 0.156, 0.096) [8 per cell]
O (0.000, 0.165, 0.416) [8 per cell]
O (0.000, 0.356, 0.851) [8 per cell]
O (0.163, 0.337, 0.250) [8 per cell]

Summary:
**Formation energy without anion corrections**: -8316 kJ/mol of formula units



DFT (meta-GGA SCAN) results for a crystal of In2RhPb relaxed with PBEsol.

Cell lengths 5.761, 8.413, 3.470 Å; angles 90.00, 90.00, 90.00 degrees
Space group Cmmm (No. 65)
One atom of each set of equivalent atoms:
In (0.250, 0.250, 0.000) [4 per cell]
Rh (0.000, 0.000, 0.500) [2 per cell]
Pb (0.000, 0.500, 0.500) [2 per cell]

Summary:
**Total DFT energy (no corrections)**: -43.881 eV/atom



DFT (meta-GGA SCAN) results for a crystal of Cd2CoRu relaxed with PBEsol.

Cell lengths 4.060, 4.060, 7.466 Å; angles 90.00, 90.00, 90.00 degrees
Space group I-4m2 (No. 119)
One atom of each set of equivalent atoms:
Cd (0.000, 0.000, 0.000) [2 per cell]
Cd (0.000, 0.500, 0.250) [2 per cell]
Co (0.000, 0.000, 0.500) [2 per cell]
Ru (0.000, 0.500, 0.750) [2 per cell]

Summary:
********

Price-fixing agreements are perhaps the most well-known form of anti-competitive behavior. These are agreements between businesses to fix the prices of their goods or services at a certain level. This can be done through direct communication between the businesses, or through the use of an intermediary such as a trade association. Price-fixing agreements can result in higher prices for consumers and decreased competition within a market.

Market Division Agreements

Market division agreements are agreements between businesses to divide up a market or territory. Under these agreements, each business agrees to serve a particular area or market segment, and they agree not to compete with each other in those areas. This can result in decreased competition and higher prices for consumers.

Bid-Rigging Agreements

Bid-rigging agreements are agreements between businesses to manipulate the bidding process for contracts. Under these agreements, businesses will collude to submit bids that are higher than they would normally be, with the aim of ensuring that one of them wins the contract. This can result in higher costs for the contracting party, and decreased competition within the market.

== Records of crystals, kept here for reference ==
(1)
DFT (PBE) results for crystalline Ti2GaP2 at its relaxed geometry.

POSCAR file:
```
Ti2GaP2
1.0
-2.550 -4.313 -4.649
-4.382 -2.423 4.652
-2.176 2.239 -0.884
Ga Ti P
2 4 4
Direct
0.000 0.000 0.000 Ga
0.500 0.500 0.000 Ga
0.850 0.350 0.500 Ti
0.350 0.150 0.500 Ti
0.650 0.850 0.500 Ti
0.150 0.650 0.500 Ti
0.860 0.640 0.000 P
0.640 0.140 0.000 P
0.360 0.860 0.000 P
0.140 0.360 0.000 P
```

Properties
Energy in hartree per atom: -0.2421
Symmetry: P4/mbm, No. 127
Density of states at the Fermi level in states/eV/f.u.: 3.0
Spin magnetization in μB/f.u.: 0.000
DFT formation energy in kcal/mol of atoms: -15.2

(2)
DFT (PBE) results for crystalline Na4CdSn2 at its relaxed geometry.

POSCAR file:
```
Na4CdSn2
1.0
4.524 0.000 0.000
-2.262 5.004 2.154
0.000 5.365 10.988
Sn Na Cd
2 4 1
Direct
0.270 0.539 0.066 Sn
0.730 0.461 0.934 Sn
0.564 0.129 0.648 Na
0.854 0.708 0.205 Na
0.436 0.871 0.352 Na
0.146 0.292 0.795 Na
0.000 0.000 0.500 Cd
```

Properties
Energy in hartree per atom: -0.0788
Symmetry: C2/m, No. 12
Density of states at the Fermi level in states/eV/f.u.: 2.8
Spin magnetization in μB/f.u.: 0.000
DFT formation energy in kcal/mol of atoms: -2.6

(3)
DFT (PBE) results for crystalline Ta2CrMo at its relaxed geometry.

POSCAR file:
```
Ta2CrMo
1.0
-1.649 4.123 -0.645
-2.272 0.947 -3.752
-4.429 0.698 0.175
Ta Cr Mo
2 1 1
Direct
0.750 0.750 0.750 Ta
0.000 0.000 0.000 Ta
0.500 0.500 0.500 Cr
0.250 0.250 0.250 Mo
```

Properties
Energy in hartree per atom: -0.4046
Symmetry: F-43m, No. 216
Density of states at the Fermi level in states/eV/f.u.: 3.0
Spin magnetization in μB/f.u.: 0.000
DFT formation energy in kcal/mol of atoms: 0.7

(4)
DFT (PBE) results for crystalline CaB4C at its relaxed geometry.

POSCAR file:
```
CaB4C
1.0
-2.965 0.387 2.911
0.456 -3.970 1.204
3.381 -1.205 9.851
Ca B C
2 8 2
Direct
0.857 0.857 0.783 Ca
0.143 0.143 0.217 Ca
0.253 0.253 0.862 B
0.535 0.835 0.560 B
0.747 0.747 0.138 B
0.165 0.465 0.440 B
0.465 0.165 0.440 B
0.849 0.151 0.000 B
0.151 0.849 0.000 B
0.835 0.535 0.560 B
0.487 0.487 0.302 C
0.513 0.513 0.698 C
```

Properties
Energy in hartree per atom: -0.2275
Symmetry: C2/m, No. 12
Density of states at the Fermi level in states/eV/f.u.: 1.5
Spin magnetization in μB/f.u.: 0.000
DFT formation energy in kcal/mol of atoms: 3.1

(5)
DFT (PBE) results for crystalline MgAsP2Cl at its relaxed geometry.

POSCAR file:
```
MgAsP2Cl
1.0
-1.081 -2.840 -3.652
2.049 -3.656 2.237
-4.362 -1.122 2.163
P Cl Mg As
2 1 1 1
Direct
0.500 0.000 0.000 P
0.000 0.500 0.000 P
0.000 0.000 0.500 Cl
0.500 0.500 0.500 Mg
0.000 0.000 0.000 As
```

Properties
Energy in hartree per atom: -0.1238
Symmetry: P4/mmm, No. 123
Density of states at the Fermi level in states/eV/f.u.: 2.0
Spin magnetization in μB/f.u.: 0.000
Formation energy without anion corrections in eV per atom: 0.413

(6)
DFT (PBE) results for crystalline BMoAs2P at its relaxed geometry.

POSCAR file:
```
BMoAs2P
1.0
4.856 0.000 0.000
0.000 3.602 0.000
0.000 0.000 4.856
Mo B P As
1 1 1 2
Direct

Exclusive Dealing Agreements

Exclusive dealing agreements are agreements between businesses that require one party to buy all or most of its goods or services from the other party. This can restrict other businesses from entering the market or obtaining contracts, and can result in higher prices for consumers.

Tying Agreements

Tying agreements are agreements between businesses that require a customer to purchase one product in order to obtain another product. This can be used to leverage market power, and can result in reduced competition and higher prices for consumers.


Anti-competitive agreements can take many different forms, and can have serious implications for businesses and consumers alike. By understanding the different types of anti-competitive behavior, businesses can take steps to ensure that they are not engaging in illegal practices, and consumers can make informed choices about the goods and services they purchase. As a professional, you should ensure that articles on antitrust laws and anti-competitive agreements are easily accessible to businesses and consumers, and follow best practices for SEO optimization to reach the widest possible audience.